[Input]
-- begin --
Calculated powder diffractogram of BaMn2Ge2 for Cu Kα (weighted mean of Kα1 and Kα2), from a PBE-relaxed structure.

Structural model:
```
BaMn2Ge2
1.0
4.288 0.000 0.000
0.000 4.288 0.000
0.000 0.000 12.188
Ba Mn Ge
2 4 4
direct
0.000 0.000 0.000
0.500 0.500 0.500
0.000 0.500 0.250
0.000 0.500 0.750
0.500 0.000 0.250
0.500 0.000 0.750
0.000 0.000 0.352
0.000 0.000 0.648
0.500 0.500 0.148
0.500 0.500 0.852
```

Main lines, in order of rising 2θ (10 to 90 degrees two-theta):
| d [Å] | Rel. int. |
| --- | --- |
| 3.032 | 21 |
| 2.949 | 100 |
| 2.715 | 43 |
| 2.144 | 42 |
| 2.119 | 10 |
| 1.734 | 41 |
| 1.688 | 32 |
| 1.516 | 13 |
| 1.348 | 9 |
| 1.324 | 8 |
| 1.141 | 11 |
| 1.128 | 17 |

***

Calculated powder diffractogram of Ba4GeN4 for Cu Kα (weighted mean of Kα1 and Kα2), from a PBE-relaxed structure.

Structural model:
```
Ba4GeN4
1.0
12.860 0.000 0.000
0.000 4.023 0.000
0.000 0.000 17.184
Ba Ge N
16 4 16
direct
0.115 0.250 0.124
0.125 0.250 0.538
0.128 0.750 0.337
0.132 0.750 0.734
0.368 0.250 0.234
0.372 0.250 0.837
0.375 0.750 0.038
0.385 0.750 0.624
0.615 0.250 0.376
0.625 0.250 0.962
0.628 0.750 0.163
0.632 0.750 0.766
0.868 0.250 0.266
0.872 0.250 0.663
0.875 0.750 0.462
0.885 0.750 0.876
0.120 0.250 0.927
0.380 0.750 0.427
0.620 0.250 0.573
0.880 0.750 0.073
0.005 0.250 0.386
0.054 0.250 0.839
0.228 0.750 0.191
0.237 0.250 0.979
0.263 0.750 0.479
0.272 0.250 0.691
0.446 0.750 0.339
0.495 0.750 0.886
0.505 0.250 0.114
0.554 0.250 0.661
0.728 0.750 0.309
0.737 0.250 0.521
0.763 0.750 0.021
0.772 0.250 0.809
0.946 0.750 0.161
0.995 0.750 0.614
```

Main lines, in order of rising 2θ (10 to 90 degrees two-theta):
| d [Å] | Rel. int. |
| --- | --- |
| 3.215 | 62 |
| 3.189 | 40 |
| 3.170 | 100 |
| 3.031 | 90 |
| 2.611 | 36 |
| 2.096 | 27 |
| 2.011 | 23 |
| 1.847 | 19 |
| 1.819 | 20 |
| 1.755 | 22 |
| 1.705 | 27 |
| 1.676 | 31 |

***

Calculated powder diffractogram of Ba7GeN6 for Cu Kα (weighted mean of Kα1 and Kα2), from a PBE-relaxed structure.

Structural model:
```
Ba7GeN6
1.0
12.635 0.000 0.000
0.000 7.023 0.000
0.000 0.000 14.589
Ba Ge N
28 4 24
direct
0.000 0.070 0.250
0.000 0.930 0.750
0.037 0.242 0.517
0.037 0.758 0.017
0.211 0.399 0.128
0.211 0.601 0.628
0.219 0.355 0.874
0.219 0.645 0.374
0.281 0.145 0.374
0.281 0.855 0.874
0.289 0.101 0.628
0.289 0.899 0.128
0.463 0.258 0.017
0.463 0.742 0.517
0.500 0.430 0.750
0.500 0.570 0.250
0.537 0.258 0.483
0.537 0.742 0.983
0.711 0.101 0.872
0.711 0.899 0.372
0.719 0.145 0.126
0.719 0.855 0.626
0.781 0.355 0.626
0.781 0.645 0.126
0.789 0.399 0.372
0.789 0.601 0.872
0.963 0.242 0.983
0.963 0.758 0.483
0.000 0.416 0.750
0.000 0.584 0.250
0.500 0.084 0.250
0.500 0.916 0.750
0.040 0.427 0.354
0.040 0.573 0.854
0.119 0.253 0.711
0.119 0.747 0.211
0.164 0.105 0.001
0.164 0.895 0.501
0.336 0.395 0.501
0.336 0.605 0.001
0.381 0.247 0.211
0.381 0.753 0.711
0.460 0.073 0.854
0.460 0.927 0.354
0.540 0.073 0.646
0.540 0.927 0.146
0.619 0.247 0.289
0.619 0.753 0.789
0.664 0.395 0.999
0.664 0.605 0.499
0.836 0.105 0.499
0.836 0.895 0.999
0.881 0.253 0.789
0.881 0.747 0.289
0.960 0.427 0.146
0.960 0.573 0.646
```

Main lines, in order of rising 2θ (10 to 90 degrees two-theta):
| d [Å] | Rel. int. |
| --- | --- |
| 3.612 | 8 |
| 3.296 | 21 |
| 3.159 | 100 |
| 2.827 | 41 |
| 2.777 | 18 |
| 2.652 | 8 |
| 2.359 | 8 |
| 2.210 | 8 |
| 1.992 | 8 |
| 1.863 | 10 |
| 1.824 | 11 |
| 1.581 | 7 |

***

Calculated powder diffractogram of Ba5Ge2N6 for Cu Kα (weighted mean of Kα1 and Kα2), from a PBE-relaxed structure.

Structural model:
```
Ba5Ge2N6
1.0
5.391 -3.578 0.000
5.391 3.578 0.000
-2.354 0.000 14.184
Ba Ge N
10 4 12
direct
0.111 0.889 0.750
0.178 0.718 0.008
0.273 0.415 0.289
0.282 0.822 0.492
0.415 0.273 0.789
0.585 0.727 0.211
0.718 0.178 0.508
0.727 0.585 0.711
0.822 0.282 0.992
0.889 0.111 0.250
0.143 0.408 0.575
0.408 0.143 0.075
0.592 0.857 0.925
0.857 0.592 0.425
0.084 0.215 0.648
0.120 0.300 0.442
0.215 0.084 0.148
0.300 0.120 0.942
0.392 0.482 0.623
0.482 0.392 0.123
-- stop --

[Exercise]
Now restate the contents further above with every line break kept.

[Worked solution]
Calculated powder diffractogram of BaMn2Ge2 for Cu Kα (weighted mean of Kα1 and Kα2), from a PBE-relaxed structure.

Structural model:
```
BaMn2Ge2
1.0
4.288 0.000 0.000
0.000 4.288 0.000
0.000 0.000 12.188
Ba Mn Ge
2 4 4
direct
0.000 0.000 0.000
0.500 0.500 0.500
0.000 0.500 0.250
0.000 0.500 0.750
0.500 0.000 0.250
0.500 0.000 0.750
0.000 0.000 0.352
0.000 0.000 0.648
0.500 0.500 0.148
0.500 0.500 0.852
```

Main lines, in order of rising 2θ (10 to 90 degrees two-theta):
| d [Å] | Rel. int. |
| --- | --- |
| 3.032 | 21 |
| 2.949 | 100 |
| 2.715 | 43 |
| 2.144 | 42 |
| 2.119 | 10 |
| 1.734 | 41 |
| 1.688 | 32 |
| 1.516 | 13 |
| 1.348 | 9 |
| 1.324 | 8 |
| 1.141 | 11 |
| 1.128 | 17 |

***

Calculated powder diffractogram of Ba4GeN4 for Cu Kα (weighted mean of Kα1 and Kα2), from a PBE-relaxed structure.

Structural model:
```
Ba4GeN4
1.0
12.860 0.000 0.000
0.000 4.023 0.000
0.000 0.000 17.184
Ba Ge N
16 4 16
direct
0.115 0.250 0.124
0.125 0.250 0.538
0.128 0.750 0.337
0.132 0.750 0.734
0.368 0.250 0.234
0.372 0.250 0.837
0.375 0.750 0.038
0.385 0.750 0.624
0.615 0.250 0.376
0.625 0.250 0.962
0.628 0.750 0.163
0.632 0.750 0.766
0.868 0.250 0.266
0.872 0.250 0.663
0.875 0.750 0.462
0.885 0.750 0.876
0.120 0.250 0.927
0.380 0.750 0.427
0.620 0.250 0.573
0.880 0.750 0.073
0.005 0.250 0.386
0.054 0.250 0.839
0.228 0.750 0.191
0.237 0.250 0.979
0.263 0.750 0.479
0.272 0.250 0.691
0.446 0.750 0.339
0.495 0.750 0.886
0.505 0.250 0.114
0.554 0.250 0.661
0.728 0.750 0.309
0.737 0.250 0.521
0.763 0.750 0.021
0.772 0.250 0.809
0.946 0.750 0.161
0.995 0.750 0.614
```

Main lines, in order of rising 2θ (10 to 90 degrees two-theta):
| d [Å] | Rel. int. |
| --- | --- |
| 3.215 | 62 |
| 3.189 | 40 |
| 3.170 | 100 |
| 3.031 | 90 |
| 2.611 | 36 |
| 2.096 | 27 |
| 2.011 | 23 |
| 1.847 | 19 |
| 1.819 | 20 |
| 1.755 | 22 |
| 1.705 | 27 |
| 1.676 | 31 |

***

Calculated powder diffractogram of Ba7GeN6 for Cu Kα (weighted mean of Kα1 and Kα2), from a PBE-relaxed structure.

Structural model:
```
Ba7GeN6
1.0
12.635 0.000 0.000
0.000 7.023 0.000
0.000 0.000 14.589
Ba Ge N
28 4 24
direct
0.000 0.070 0.250
0.000 0.930 0.750
0.037 0.242 0.517
0.037 0.758 0.017
0.211 0.399 0.128
0.211 0.601 0.628
0.219 0.355 0.874
0.219 0.645 0.374
0.281 0.145 0.374
0.281 0.855 0.874
0.289 0.101 0.628
0.289 0.899 0.128
0.463 0.258 0.017
0.463 0.742 0.517
0.500 0.430 0.750
0.500 0.570 0.250
0.537 0.258 0.483
0.537 0.742 0.983
0.711 0.101 0.872
0.711 0.899 0.372
0.719 0.145 0.126
0.719 0.855 0.626
0.781 0.355 0.626
0.781 0.645 0.126
0.789 0.399 0.372
0.789 0.601 0.872
0.963 0.242 0.983
0.963 0.758 0.483
0.000 0.416 0.750
0.000 0.584 0.250
0.500 0.084 0.250
0.500 0.916 0.750
0.040 0.427 0.354
0.040 0.573 0.854
0.119 0.253 0.711
0.119 0.747 0.211
0.164 0.105 0.001
0.164 0.895 0.501
0.336 0.395 0.501
0.336 0.605 0.001
0.381 0.247 0.211
0.381 0.753 0.711
0.460 0.073 0.854
0.460 0.927 0.354
0.540 0.073 0.646
0.540 0.927 0.146
0.619 0.247 0.289
0.619 0.753 0.789
0.664 0.395 0.999
0.664 0.605 0.499
0.836 0.105 0.499
0.836 0.895 0.999
0.881 0.253 0.789
0.881 0.747 0.289
0.960 0.427 0.146
0.960 0.573 0.646
```

Main lines, in order of rising 2θ (10 to 90 degrees two-theta):
| d [Å] | Rel. int. |
| --- | --- |
| 3.612 | 8 |
| 3.296 | 21 |
| 3.159 | 100 |
| 2.827 | 41 |
| 2.777 | 18 |
| 2.652 | 8 |
| 2.359 | 8 |
| 2.210 | 8 |
| 1.992 | 8 |
| 1.863 | 10 |
| 1.824 | 11 |
| 1.581 | 7 |

***

Calculated powder diffractogram of Ba5Ge2N6 for Cu Kα (weighted mean of Kα1 and Kα2), from a PBE-relaxed structure.

Structural model:
```
Ba5Ge2N6
1.0
5.391 -3.578 0.000
5.391 3.578 0.000
-2.354 0.000 14.184
Ba Ge N
10 4 12
direct
0.111 0.889 0.750
0.178 0.718 0.008
0.273 0.415 0.289
0.282 0.822 0.492
0.415 0.273 0.789
0.585 0.727 0.211
0.718 0.178 0.508
0.727 0.585 0.711
0.822 0.282 0.992
0.889 0.111 0.250
0.143 0.408 0.575
0.408 0.143 0.075
0.592 0.857 0.925
0.857 0.592 0.425
0.084 0.215 0.648
0.120 0.300 0.442
0.215 0.084 0.148
0.300 0.120 0.942
0.392 0.482 0.623
0.482 0.392 0.123